# File
'''
Structure and theoretical powder XRD pattern of SmP3Rh3 (a cell relaxed with GGA-PBE; CuKα).
Peak positions follow from Bragg's law for the DFT cell and can differ from measured ones.

Crystal structure
```
data_SmP3Rh3
_chemical_formula_sum 'Sm6 P18 Rh18'
_cell_length_a 6.7344
_cell_length_b 6.7344
_cell_length_c 19.8013
_cell_angle_alpha 90.00
_cell_angle_beta 90.00
_cell_angle_gamma 120.00
_symmetry_space_group_name_H-M 'R -3'
_symmetry_Int_Tables_number 148
_symmetry_space_group_name_Hall '-R 3'
loop_
_atom_site_label
_atom_site_type_symbol
_atom_site_fract_x
_atom_site_fract_y
_atom_site_fract_z
_atom_site_occupancy
Sm1 Sm 0.0000 0.0000 0.1664 1
P1 P 0.0027 0.6830 0.5915 1
Rh1 Rh 0.0038 0.6611 0.3787 1
```

Main lines, in order of falling intensity (2θ from 5° to 70°):
29.8 deg, rel. 100, hkl 2 -1 3; 38.2 deg, rel. 65, hkl 1 1 6; 46.7 deg, rel. 51, hkl 3 0 0; 63.9 deg, rel. 27, hkl 3 0 9; 41.0 deg, rel. 17, hkl 0 0 9; 56.4 deg, rel. 16, hkl 2 2 3; 61.9 deg, rel. 15, hkl 4 -2 6; 15.8 deg, rel. 15, hkl 1 0 1; 49.5 deg, rel. 13, hkl 1 1 9; 17.6 deg, rel. 12, hkl 0 1 2

Structure and theoretical powder XRD pattern of Sm3SnP2Rh9 (a cell relaxed with GGA-PBE; CuKα).
Peak positions follow from Bragg's law for the DFT cell and can differ from measured ones.

Crystal structure
```
data_Sm3SnP2Rh9
_chemical_formula_sum 'Sm3 Sn1 P2 Rh9'
_cell_length_a 6.0905
_cell_length_b 6.0905
_cell_length_c 9.2781
_cell_angle_alpha 90.00
_cell_angle_beta 90.00
_cell_angle_gamma 120.00
_symmetry_space_group_name_H-M 'P -3 m 1'
_symmetry_Int_Tables_number 164
_symmetry_space_group_name_Hall '-P 3 2"'
loop_
_atom_site_label
_atom_site_type_symbol
_atom_site_fract_x
_atom_site_fract_y
_atom_site_fract_z
_atom_site_occupancy
Sm1 Sm 0.0000 0.0000 0.0000 1
Sm2 Sm 0.3333 0.6667 0.7133 1
Sn1 Sn 0.0000 0.0000 0.5000 1
P1 P 0.3333 0.6667 0.1588 1
Rh1 Rh 0.0000 0.5000 0.0000 1
Rh2 Rh 0.1506 0.3012 0.2692 1
```

Main lines, in order of falling intensity (2θ from 5° to 70°):
39.3 deg, rel. 100, hkl 2 0 2; 35.4 deg, rel. 81, hkl 0 2 1; 45.2 deg, rel. 30, hkl 2 0 3; 60.8 deg, rel. 27, hkl 2 2 0; 9.5 deg, rel. 25, hkl 0 0 1; 38.8 deg, rel. 25, hkl 0 0 4; 61.1 deg, rel. 18, hkl 0 2 5; 28.9 deg, rel. 16, hkl 0 0 3; 49.8 deg, rel. 12, hkl 1 2 2; 52.5 deg, rel. 11, hkl 0 2 4

Structure and theoretical powder XRD pattern of Sm2UP3Rh12 (a cell relaxed with GGA-PBE; CuKα).
Peak positions follow from Bragg's law for the DFT cell and can differ from measured ones.

Crystal structure
```
data_Sm2UP3Rh12
_chemical_formula_sum 'Sm6 U3 P9 Rh36'
_cell_length_a 8.2307
_cell_length_b 8.2307
_cell_length_c 16.8234
_cell_angle_alpha 90.00
_cell_angle_beta 90.00
_cell_angle_gamma 120.00
_symmetry_space_group_name_H-M 'R -3 m'
_symmetry_Int_Tables_number 166
_symmetry_space_group_name_Hall '-R 3 2"'
loop_
_atom_site_label
_atom_site_type_symbol
_atom_site_fract_x
_atom_site_fract_y
_atom_site_fract_z
_atom_site_occupancy
Sm1 Sm 0.0000 0.0000 0.0986 1
U1 U 0.0000 0.0000 0.5000 1
P1 P 0.0000 0.5000 0.0000 1
Rh1 Rh 0.0133 0.5067 0.8659 1
Rh2 Rh 0.0478 0.5239 0.3595 1
```

Main lines, in order of falling intensity (2θ from 5° to 70°):
44.0 deg, rel. 100, hkl 2 2 0; 32.9 deg, rel. 88, hkl 0 2 4; 35.0 deg, rel. 56, hkl 1 2 2; 50.4 deg, rel. 52, hkl 2 0 8; 29.4 deg, rel. 38, hkl 0 1 5; 26.9 deg, rel. 27, hkl 1 1 3; 69.1 deg, rel. 19, hkl 0 4 8; 36.7 deg, rel. 19, hkl 2 0 5; 39.7 deg, rel. 18, hkl 2 1 4; 63.2 deg, rel. 17, hkl 2 3 5

Structure and theoretical powder XRD pattern of Sm3ZnP2Rh9 (a cell relaxed with GGA-PBE; CuKα).
Peak positions follow from Bragg's law for the DFT cell and can differ from measured ones.

Crystal structure
```
data_Sm3ZnP2Rh9
_chemical_formula_sum 'Sm3 Zn1 P2 Rh9'
_cell_length_a 6.2388
_cell_length_b 6.2388
_cell_length_c 8.1174
_cell_angle_alpha 90.00
_cell_angle_beta 90.00
_cell_angle_gamma 120.00
_symmetry_space_group_name_H-M 'P -3 m 1'
_symmetry_Int_Tables_number 164
_symmetry_space_group_name_Hall '-P 3 2"'
loop_
_atom_site_label
_atom_site_type_symbol
'''
# Work order
Please write out the whole of the material further up verbatim.
# Worked solution
Structure and theoretical powder XRD pattern of SmP3Rh3 (a cell relaxed with GGA-PBE; CuKα).
Peak positions follow from Bragg's law for the DFT cell and can differ from measured ones.

Crystal structure
```
data_SmP3Rh3
_chemical_formula_sum 'Sm6 P18 Rh18'
_cell_length_a 6.7344
_cell_length_b 6.7344
_cell_length_c 19.8013
_cell_angle_alpha 90.00
_cell_angle_beta 90.00
_cell_angle_gamma 120.00
_symmetry_space_group_name_H-M 'R -3'
_symmetry_Int_Tables_number 148
_symmetry_space_group_name_Hall '-R 3'
loop_
_atom_site_label
_atom_site_type_symbol
_atom_site_fract_x
_atom_site_fract_y
_atom_site_fract_z
_atom_site_occupancy
Sm1 Sm 0.0000 0.0000 0.1664 1
P1 P 0.0027 0.6830 0.5915 1
Rh1 Rh 0.0038 0.6611 0.3787 1
```

Main lines, in order of falling intensity (2θ from 5° to 70°):
29.8 deg, rel. 100, hkl 2 -1 3; 38.2 deg, rel. 65, hkl 1 1 6; 46.7 deg, rel. 51, hkl 3 0 0; 63.9 deg, rel. 27, hkl 3 0 9; 41.0 deg, rel. 17, hkl 0 0 9; 56.4 deg, rel. 16, hkl 2 2 3; 61.9 deg, rel. 15, hkl 4 -2 6; 15.8 deg, rel. 15, hkl 1 0 1; 49.5 deg, rel. 13, hkl 1 1 9; 17.6 deg, rel. 12, hkl 0 1 2

Structure and theoretical powder XRD pattern of Sm3SnP2Rh9 (a cell relaxed with GGA-PBE; CuKα).
Peak positions follow from Bragg's law for the DFT cell and can differ from measured ones.

Crystal structure
```
data_Sm3SnP2Rh9
_chemical_formula_sum 'Sm3 Sn1 P2 Rh9'
_cell_length_a 6.0905
_cell_length_b 6.0905
_cell_length_c 9.2781
_cell_angle_alpha 90.00
_cell_angle_beta 90.00
_cell_angle_gamma 120.00
_symmetry_space_group_name_H-M 'P -3 m 1'
_symmetry_Int_Tables_number 164
_symmetry_space_group_name_Hall '-P 3 2"'
loop_
_atom_site_label
_atom_site_type_symbol
_atom_site_fract_x
_atom_site_fract_y
_atom_site_fract_z
_atom_site_occupancy
Sm1 Sm 0.0000 0.0000 0.0000 1
Sm2 Sm 0.3333 0.6667 0.7133 1
Sn1 Sn 0.0000 0.0000 0.5000 1
P1 P 0.3333 0.6667 0.1588 1
Rh1 Rh 0.0000 0.5000 0.0000 1
Rh2 Rh 0.1506 0.3012 0.2692 1
```

Main lines, in order of falling intensity (2θ from 5° to 70°):
39.3 deg, rel. 100, hkl 2 0 2; 35.4 deg, rel. 81, hkl 0 2 1; 45.2 deg, rel. 30, hkl 2 0 3; 60.8 deg, rel. 27, hkl 2 2 0; 9.5 deg, rel. 25, hkl 0 0 1; 38.8 deg, rel. 25, hkl 0 0 4; 61.1 deg, rel. 18, hkl 0 2 5; 28.9 deg, rel. 16, hkl 0 0 3; 49.8 deg, rel. 12, hkl 1 2 2; 52.5 deg, rel. 11, hkl 0 2 4

Structure and theoretical powder XRD pattern of Sm2UP3Rh12 (a cell relaxed with GGA-PBE; CuKα).
Peak positions follow from Bragg's law for the DFT cell and can differ from measured ones.

Crystal structure
```
data_Sm2UP3Rh12
_chemical_formula_sum 'Sm6 U3 P9 Rh36'
_cell_length_a 8.2307
_cell_length_b 8.2307
_cell_length_c 16.8234
_cell_angle_alpha 90.00
_cell_angle_beta 90.00
_cell_angle_gamma 120.00
_symmetry_space_group_name_H-M 'R -3 m'
_symmetry_Int_Tables_number 166
_symmetry_space_group_name_Hall '-R 3 2"'
loop_
_atom_site_label
_atom_site_type_symbol
_atom_site_fract_x
_atom_site_fract_y
_atom_site_fract_z
_atom_site_occupancy
Sm1 Sm 0.0000 0.0000 0.0986 1
U1 U 0.0000 0.0000 0.5000 1
P1 P 0.0000 0.5000 0.0000 1
Rh1 Rh 0.0133 0.5067 0.8659 1
Rh2 Rh 0.0478 0.5239 0.3595 1
```

Main lines, in order of falling intensity (2θ from 5° to 70°):
44.0 deg, rel. 100, hkl 2 2 0; 32.9 deg, rel. 88, hkl 0 2 4; 35.0 deg, rel. 56, hkl 1 2 2; 50.4 deg, rel. 52, hkl 2 0 8; 29.4 deg, rel. 38, hkl 0 1 5; 26.9 deg, rel. 27, hkl 1 1 3; 69.1 deg, rel. 19, hkl 0 4 8; 36.7 deg, rel. 19, hkl 2 0 5; 39.7 deg, rel. 18, hkl 2 1 4; 63.2 deg, rel. 17, hkl 2 3 5

Structure and theoretical powder XRD pattern of Sm3ZnP2Rh9 (a cell relaxed with GGA-PBE; CuKα).
Peak positions follow from Bragg's law for the DFT cell and can differ from measured ones.

Crystal structure
```
data_Sm3ZnP2Rh9
_chemical_formula_sum 'Sm3 Zn1 P2 Rh9'
_cell_length_a 6.2388
_cell_length_b 6.2388
_cell_length_c 8.1174
_cell_angle_alpha 90.00
_cell_angle_beta 90.00
_cell_angle_gamma 120.00
_symmetry_space_group_name_H-M 'P -3 m 1'
_symmetry_Int_Tables_number 164
_symmetry_space_group_name_Hall '-P 3 2"'
loop_
_atom_site_label
_atom_site_type_symbol